The past that changed him

"Our parents died when Rin was still in high school. At the time, he didn't cry much, but I knew he was suffering. At the funeral he simply said a few words of parting, nothing more. He hoped that they were well and happy wherever they were, and that they would watch over him. Everyone was impressed with his mature and composed manners, but I knew there was a whole layer of grief hiding inside his heart."

"So that's what happened. I'm sorry to hear about that." I mumbled.

I felt heartache just from thinking about a young Kurosawa-san suffering in silence.

Meanwhile, Amami-chan shook her head slowly, letting out a deep sigh.

"We still had our grandparents. We moved in with them right after the funeral. Back then I was in my last year of college, while Rin was in his second year of high school. After I graduated, I found a job and moved out. Soon afterwards, I met Suzuki-kun and we got married. By that time I was already beginning to heal, but Rin didn't. After he graduated from high school, he wanted to get a job and refused to go to college. Both me and my grandparents fought long and hard to convince him."

Amami-chan stopped for a moment. She let out a long exhale, as though trying to let go of all the negative emotions that were weighing heavily on her heart.

"But why?" I took the chance to ask. "Kurosawa-san was smart, wasn't he? And I know he likes books, so why didn't he want to continue with his studies?"

"Can't you guess why?" Amami-chan replied with a question. She lifted her head and stared into my eyes without blinking.

That fixed gaze almost made me shiver. It was simply too intense. But, at the same time, I could feel my heart melting from everything I heard. The information Amami-chan just gave me offered a whole different perspective.

In light of this new knowledge, a sudden idea struck me.

"Don't tell me…" I gasped. "Don't tell me he didn't want to go to college because he didn't want to be a burden?"

I don't even know how I managed to guess this on my first try.

Perhaps what Amami-chan had just told me about Kurosawa-san's personality and history helped me flesh out a different image of him in my mind. It was like I could see into the heart of a Kurosawa-san that I didn't know before.

The always cheerful and smiling Kurosawa-san, together with the gloomy and evasive Kurosawa-san… in the end they were both the same person. They were two sides of the same coin.

Next to the entry, the page also holds records of molecules >
<<<
Below is a structure of composition C25H46ClI2MnNO7 at a distorted geometry, with properties calculated with wB97M-V/def2-TZVPD.

XYZ file:
```
83
Properties=species:S:1:pos:R:3:forces:R:3:mulliken_spin:R:1
I -0.48856 -1.64842 -3.91250 -0.13 -0.86 0.80 0.02
I -1.43042 0.54068 -1.08424 0.71 -0.85 -0.69 0.00
Mn -1.58731 -4.55116 -2.77285 1.66 0.26 -0.88 5.12
Cl 1.88972 -3.61834 -1.87232 -1.18 0.08 0.13 0.01
O -0.21683 -2.32454 -0.86667 -0.02 1.08 -1.31 -0.06
O -5.09734 2.54344 0.64220 0.43 2.77 -0.18 0.00
O -5.98881 4.27272 2.07494 6.50 -3.37 -4.75 0.00
O -2.79280 -2.08792 3.13432 2.87 1.29 0.93 0.00
O 1.53835 -2.63781 0.59327 -0.19 1.55 -3.51 -0.01
O 4.35567 2.95719 0.21697 2.35 -0.23 -0.18 0.00
O -2.56527 -1.12929 5.39830 3.10 -2.83 -8.44 0.00
N -3.28763 -1.88916 -0.46202 -0.08 -3.70 -3.22 -0.05
C 5.35793 3.32147 -0.83676 0.17 1.06 -0.23 0.00
C 5.02658 2.70901 1.50768 -0.57 0.22 1.28 0.00
C 3.68936 1.34249 -3.32216 0.91 1.06 -0.01 0.00
C -2.05561 -2.12363 1.85968 0.82 -0.23 -1.06 -0.01
C -1.99328 -1.49419 4.22216 -2.00 2.23 6.60 0.00
C -3.58239 4.75055 1.37586 0.23 -1.70 -0.07 0.00
C -0.34258 -1.25142 4.14983 -0.80 -1.14 -0.59 0.00
C -2.52621 -2.23590 -1.72202 -0.65 2.68 0.88 0.06
C -4.95611 3.82590 1.35325 -4.98 3.05 3.78 0.00
C 1.20764 -2.20594 -0.80842 2.08 -0.09 1.86 0.01
C 4.83860 2.55174 -3.44405 0.48 -0.48 0.77 0.00
C 2.94574 -2.52699 0.91207 2.58 -0.06 2.56 0.00
C -6.40344 0.28558 -0.60543 0.54 -0.08 0.07 0.00
C -0.99455 -1.54335 -1.76910 -1.88 -0.75 1.39 -0.02
C -3.00192 -2.83934 0.68102 -0.11 0.25 2.53 0.02
C 3.13717 -3.19967 2.43313 -0.57 0.84 -0.15 0.00
C 3.39741 -1.13303 -2.11796 0.37 1.12 0.25 0.00
C 4.26570 0.29416 -2.20218 -0.42 -1.30 -0.58 0.00
C -4.79720 -1.82683 -0.73588 -1.38 0.63 1.04 -0.01
C -5.12387 2.72211 -0.81826 0.25 -0.56 -1.81 0.00
C 4.60070 3.68592 -2.27866 -0.85 -0.34 0.58 0.00
C 3.75310 -2.09917 3.50883 0.46 -0.93 0.32 0.00
C -5.55200 1.31156 -1.60147 -0.65 -0.90 0.76 0.00
C 1.95628 -0.86439 -1.30232 1.71 1.33 -0.20 0.00
C -5.37318 -0.64676 0.28994 0.33 0.60 -0.60 0.00
H -2.30532 -3.40846 -1.76063 -0.68 0.71 1.09 -0.11
H 4.10508 -1.87782 -1.53811 -1.76 1.29 -1.39 0.00
H 5.90469 4.28018 -0.42017 -0.94 -1.87 -0.98 0.00
H -5.05960 -1.56442 -1.84718 0.86 -0.29 2.12 0.00
H 5.88811 2.03387 -3.21051 -2.20 1.11 -0.66 0.00
H 3.23556 -2.29370 4.56658 1.23 0.65 -2.37 0.00
H -1.06651 -2.77073 1.92321 -1.97 1.47 0.12 0.00
H 3.14968 -1.45657 -3.21508 0.61 0.28 2.18 0.00
H 4.93371 2.98121 -4.53162 -0.51 -0.68 2.23 0.00
H -1.78499 -1.01585 1.54060 -0.58 -2.39 0.50 0.00
H -3.16578 4.87106 0.28413 -0.85 -0.04 2.20 0.00
H 3.80898 -4.15318 2.33991 -1.36 1.88 0.33 0.00
H 3.35561 -1.41319 1.04182 -1.30 -2.23 -0.67 0.00
H 5.35683 -0.02626 -2.54614 -2.33 0.72 0.78 0.00
H 3.69989 -3.10091 0.23073 -1.91 0.98 0.72 0.00
H 0.10788 -2.32866 3.92313 -0.71 2.43 0.17 0.00
H 1.37650 -0.15010 -2.02555 0.61 -1.67 1.48 0.00
H -5.35589 -2.83212 -0.47619 1.36 1.75 -0.57 0.00
H -5.89476 3.53415 -1.17040 1.59 -1.40 1.01 0.00
>>>
Here the entry continues >

After all, no one can be happy all the time, that's just simply not possible. I was stupid before to think that he didn't have his own sorrows and burdens.

"You're right, Keita-kun. Rin didn't want to be a burden to me, who was recently employed and newlywed. He didn't want to have his grandparents carry his weight either. Thus, leaving him with the single choice of dropping out."

"How did you manage to convince him to continue with school? Sometimes, Kurosawa-san seems like he can be very stubborn."

Hearing my correct assessment of the man, Amami-chan began to laugh wholeheartedly.

"Indeed, he can be. Nevertheless, I can be stubborn too, so I reasoned with him. I told him 'If money is an issue, then go and make some. No one said you have to live your college life without working'. It seemed that he hadn't even taken this option into consideration, because, once he thought about working and making his own way, talking to him became much easier."

"Stupid." I blurted out without thinking.

"Yes, I admit this brother of mine can be very stupid sometimes. I hope you'll forgive him for it." Amami-chan laughed.

Hearing her laugh and thinking about what I just said, I almost wanted to hit myself. What kind of person calls someone's brother stupid right to their face?!

"I'm sorry. I didn't mean to…" I said, blushing from embarrassment.

"It's alright. Rin may be stupid, but he is also weak. He is always trying to do things by himself, not wanting to trouble anyone. That's actually one of the reasons why he learned how to cook. He hassled my grandmother until the poor woman finally agreed to teach him."

"He's actually very good at it. His delicious lunches really saved my life many times." I said hastily, in order to erase some of the previous embarrassment.

"Yes, I had the fortune of tasting some of the food he's made, though he never cooked for anyone before. He was surprisingly good at it." Amami-chan chuckled.

Then her expression changed, the warm smile being once again replaced with sadness.

Molecular data from another source follow:
=====
Density functional theory data (ωB97M-V/def2-TZVPD) for a molecular structure, C34H41BF4LaN8O5Sb.

Properties
E_HOMO: -7.3 eV
Total charge: 0
Total energy: -77034.616 eV
Energy relative to the best compared isomer or geometry (same formula, charge and spin): 6.34 kJ/mol

```
95
Properties=species:S:1:pos:R:3:forces:R:3:lowdin_charge:R:1
La -0.47662 0.22723 0.31366 -1.2 -0.5 -0.7 2.115
C 1.70691 -2.27745 2.43327 0.2 0.1 0.3 -0.019
C 2.53304 -1.04504 2.19727 -0.2 -0.2 -0.4 -0.287
C 3.88856 -1.15163 2.49804 0.1 0.7 -0.2 -0.019
C 4.69512 -0.05063 2.34011 -0.4 0.5 0.0 -0.048
C 4.09951 1.14913 1.92624 0.4 0.0 0.2 -0.148
C 2.75233 1.18292 1.58911 0.4 -0.2 0.1 -0.457
N 1.99178 0.07483 1.68296 -0.1 -0.1 0.2 0.006
Sb 2.07347 3.19377 1.07663 -0.3 -0.2 0.2 1.552
C 0.21986 3.21310 2.18302 0.6 0.7 0.3 -0.457
C 0.29311 4.21678 3.14330 -0.3 -0.2 0.4 -0.145
C -0.74284 4.34955 4.06610 0.4 0.2 -0.2 -0.048
C -1.82272 3.52413 3.94940 -0.1 0.0 0.0 -0.010
C -1.86060 2.57967 2.91912 -0.3 0.1 0.0 -0.294
C -3.14833 1.83102 2.77109 -0.1 0.0 -0.3 -0.021
N -0.83118 2.40334 2.07044 -0.4 -0.3 0.0 0.004
C 1.53186 2.99815 -1.01469 0.7 0.3 -0.1 -0.477
C 2.66827 3.10323 -1.80949 0.7 -0.4 -0.4 -0.159
C 2.54553 3.05395 -3.19428 -0.7 0.0 0.5 -0.048
C 1.26912 2.95572 -3.72732 0.1 0.3 0.2 -0.014
C 0.16662 2.93389 -2.87782 0.0 -0.1 0.1 -0.296
C -1.22142 2.82992 -3.42869 0.0 0.0 -0.2 -0.012
N 0.31462 2.95942 -1.53643 -0.1 -0.2 0.0 0.046
H 1.91724 -3.02211 1.65262 -0.2 0.2 0.2 0.094
H 0.65992 -2.02570 2.50552 -0.1 -0.2 -0.2 0.032
H 2.00578 -2.69531 3.40608 -0.1 0.0 -0.3 0.105
H 4.26478 -2.08086 2.87627 0.2 -0.3 0.1 0.116
H 5.74305 -0.06053 2.59908 0.1 -0.1 0.0 0.109
H 4.70620 2.05417 1.93246 -0.2 -0.1 -0.2 0.082
H 1.15017 4.86151 3.25716 0.2 0.0 -0.3 0.069
H -0.69002 5.09917 4.84586 0.0 0.0 0.0 0.113
H -2.65658 3.61863 4.63803 0.1 -0.2 -0.2 0.124
H -3.64057 1.81047 3.74428 -0.1 -0.1 -0.2 0.087
H -3.00118 0.81546 2.42623 0.0 -0.1 0.0 0.058
H -3.79643 2.34844 2.03781 0.3 -0.2 0.3 0.092
H 3.67161 3.15416 -1.36680 -0.4 0.0 -0.1 0.092
H 3.40351 3.08541 -3.83321 0.4 0.0 -0.2 0.108
H 1.09754 2.94830 -4.79143 0.1 -0.1 -0.1 0.119
H -1.21926 2.96287 -4.51688 0.0 -0.1 0.3 0.090
H -1.85940 3.58494 -2.97209 -0.1 0.0 0.0 0.076
H -1.61827 1.83959 -3.18153 -0.1 0.2 0.0 0.073
O -0.51755 -0.65646 -4.21499 -0.4 0.1 -0.4 0.053
C -0.15412 -0.28671 -3.11349 0.6 -0.1 0.7 -0.644
O -0.85284 -0.00341 -2.08905 0.0 0.2 0.0 -0.218
C 1.37691 -0.20450 -2.89821 -0.6 -0.2 -0.6 -0.225
C 2.20427 -0.41125 -4.01234 -0.5 -0.1 0.5 -0.009
C 3.56306 -0.44344 -3.81483 0.3 0.1 -0.2 -0.059
C 4.04779 -0.29115 -2.51676 -0.1 0.0 0.2 -0.055
C 3.13807 -0.09799 -1.48595 0.5 0.0 0.0 -0.143
N 1.81504 -0.04095 -1.65819 0.2 0.2 0.1 0.090
H 1.70332 -0.60480 -4.95696 0.2 0.2 0.1 0.124
H 4.23334 -0.56374 -4.66372 0.0 -0.1 0.2 0.110
H 5.10973 -0.33644 -2.28102 -0.2 0.0 -0.1 0.106
H 3.50337 0.03948 -0.47266 0.0 -0.1 -0.1 0.084
C -4.66492 3.49012 -0.97559 1.1 -0.8 0.6 0.012
C -3.62366 2.39199 -0.65792 -0.1 0.5 -0.3 -0.285
=====

"I guess it was good that he took the effort to learn. Because soon after he entered college, my grandmother passed away, and my grandfather followed soon after. Rin was left all alone in a big house, filled with familiar objects. I can't even begin to imagine how he must have felt. By that time, I was already living with Suzuki-kun, so I only visited the house once per week. After our grandparents died I tried to convince Rin to move in with us, but he refused, saying he didn't want to be in the way of us newlyweds."

"So that's why he got so many part-time jobs during his college years? So that he could support himself and the house?"

"Ah, he's told you about that?" Amami-chan asked, her eyebrows raising in surprise.

"A little. But he never told me the whole story."

"Ah, yes. I didn't think he would. Despite acting all social and cheerful, he's actually a very private person."

The conversation stopped for a moment, each of us falling deep in meditation. After several moments, though, Amami-chan broke the silence.

"Keita-kun, I want to ask you for a favor."

Saying this, she leaned forward and placed a palm over my hand.

"Would you please speak to him? Whatever he's going through right now, I am sure it has something to do with you, so please talk to him. He'll never say it upfront, but as long as you're the one to do it, he will eventually open up."

'''
Entry 1:
C24H11FO14V | ωB97M-V/def2-TZVPD

The geometry in ORCA input format:
```
! RIJCOSX wB97M-V def2-TZVPD def2/J DEFGRID3
* xyz -5 1
O -0.67 -0.17 -2.77
V -0.83 -0.50 -1.18
O -2.24 -1.33 -1.06
C -2.68 2.65 -0.11
C -1.32 2.36 0.14
C -0.55 3.21 1.28
O 0.65 3.05 1.50
C -1.40 4.04 2.08
C -2.76 4.20 1.86
C -3.42 3.52 0.67
O -4.67 3.55 0.42
O -3.37 4.91 2.70
O -0.70 1.43 -0.46
H -3.20 2.28 -0.99
H -0.90 4.62 2.85
C 2.35 -0.04 -1.74
C 3.36 0.84 -2.00
C 4.25 1.48 -0.93
O 5.40 2.04 -1.09
C 3.95 1.26 0.42
C 2.80 0.45 0.81
C 1.94 -0.23 -0.36
O 0.89 -0.82 0.01
O 2.52 0.20 1.98
O 3.58 1.15 -3.21
H 1.75 -0.53 -2.49
H 4.65 1.60 1.18
C -2.03 0.83 4.70
C -1.05 0.11 3.89
C -1.64 -0.90 2.84
O -0.82 -1.69 2.31
C -3.03 -0.80 2.50
C -3.89 -0.03 3.27
C -3.37 0.73 4.49
O -4.18 1.35 5.31
O -5.12 0.00 2.96
O 0.15 0.37 3.93
H -1.54 1.33 5.53
H -3.40 -1.43 1.71
F -0.12 -2.59 -2.00
C 0.87 -3.09 -2.77
C 0.94 -2.75 -4.10
C 1.76 -3.46 -4.97
C 2.63 -4.37 -4.40
C 2.65 -4.67 -3.06
C 1.75 -4.06 -2.22
H 0.23 -2.03 -4.49
H 1.71 -3.39 -6.05
H 3.21 -4.93 -5.13
H 3.20 -5.49 -2.62
H 1.68 -4.25 -1.15
*
```

LUMO level (eV): 8.3
Energy relative to the best compared isomer or geometry (same formula, charge and spin) (eV): 0.0000
Frontier orbital gap (hartree): 0.0606
HOMO energy (eV): 6.686



Entry 2:
C24H12Cl5N5ORuSe3Te | ωB97M-V/def2-TZVPD

The geometry in ORCA input format:
```
! RIJCOSX wB97M-V def2-TZVPD def2/J DEFGRID3
* xyz -1 2
Ru -1.01 0.57 0.92
C -3.03 -1.65 4.03
C -3.57 -2.77 3.39
C -3.27 -2.98 2.07
C -2.43 -2.09 1.38
N -1.94 -0.98 1.99
C -2.24 -0.81 3.29
N -2.15 -2.50 0.07
C -1.12 -2.05 -0.55
N -0.32 -1.03 -0.16
C 0.86 -1.05 -0.82
N 1.94 -0.44 -0.50
C 2.06 0.17 0.74
C 3.36 0.59 1.07
C 3.64 1.06 2.33
C 2.62 1.11 3.27
C 1.36 0.74 2.87
N 1.06 0.30 1.64
C 0.72 -2.03 -1.94
C 1.58 -2.39 -2.96
C 1.15 -3.39 -3.83
C -0.08 -4.02 -3.65
C -0.92 -3.67 -2.60
C -0.51 -2.66 -1.76
H -3.23 -1.42 5.06
H -4.22 -3.45 3.92
H -3.66 -3.81 1.51
H -1.83 0.09 3.74
H 4.11 0.49 0.31
H 4.64 1.39 2.58
H 2.78 1.47 4.28
H 0.52 0.80 3.55
H 2.53 -1.90 -3.08
H 1.78 -3.68 -4.66
H -0.38 -4.79 -4.35
H -1.87 -4.16 -2.45
Cl 2.65 5.93 -3.55
C 1.84 4.69 -2.66
C 1.87 4.68 -1.27
Cl 2.76 5.90 -0.43
C 1.22 3.69 -0.54
Cl 1.31 3.67 1.18
C 0.48 2.66 -1.17
O -0.13 1.71 -0.59
C 0.49 2.70 -2.60
Cl -0.36 1.42 -3.40
C 1.14 3.68 -3.32
Cl 1.10 3.66 -5.04
Se -1.85 2.43 2.19
Se -3.18 3.31 0.51
Te -3.15 0.91 -0.51
Se -5.11 -0.12 0.49
*
```

LUMO level (spin up / spin down) (eV): 1.6 / 1.2
Energy relative to the best compared isomer or geometry (same formula, charge and spin) (eV): 0.2283
Frontier orbital gap (spin up / spin down) (hartree): 0.2178 / 0.2033
HOMO energy (spin up / spin down) (eV): -4.359 / -4.346



Entry 3:
C24H13BeCl5IN3O2 | ωB97M-V/def2-TZVPD

The geometry in ORCA input format:
```
! RIJCOSX wB97M-V def2-TZVPD def2/J DEFGRID3
* xyz 0 1
Be -0.29 -0.34 -0.12
Cl -2.82 -1.81 0.82
C -2.37 -0.35 1.65
C -1.32 0.39 1.12
C -1.01 1.56 1.80
Cl 0.28 2.55 1.16
C -1.65 1.97 2.97
Cl -1.18 3.41 3.78
C -2.68 1.18 3.48
'''

"Amami-chan, I don't think I…"

I began, but was suddenly interrupted. Amami-chan's thoughts wafted slowly inside my head.

'Please, Keita-kun. I am so worried about him. I'm afraid he might do something stupid if we don't talk to him. You're very important to him…'

I felt a shudder going down my spine. What did she mean by doing something stupid?

"Amami-chan, what exactly are you afraid of?" I asked, ignoring her puzzled look. "What do you think he'll do?"

"He'll leave, Keita-kun." She said bluntly, without beating around the bush. "If he feels like he's a burden to you or that he's making you unhappy, he will leave."